A decade ago, conventional wisdom held that raising the minimum wage would not necessarily benefit low-income workers. The logic of this view went like this: Although some workers would benefit from the government forcing their pay up by fiat, others would find themselves effectively locked out of the labor market. After all, if one lacked the skills necessary to produce $15 worth of economic value in an hour of labor, then a law forbidding employers from paying anyone a lower rate than that would render you unhireable. Indeed, rather than improving the lot of “low-skill” workers, a high minimum wage would inspire businesses to automate their roles out of existence, condemning such proletarians to jobless penury. (Conservative economists who pushed this line always had to paper over the dissonance between their ostensible support for increasing productivity and their opposition to a government policy that would, by their account, yield new labor-saving technologies.)
A 2010 op-ed from Michael Saltsman of the Employment Policy Institute provides a characteristic rendition of the argument. Saltsman warned that if state legislatures raised the minimum wage for fast food workers, “The BurgerTron 3000” would soon take their jobs.
“In addition to pushing businesses toward automation, increasing the minimum wage makes it less likely for businesses to take a chance on employees without previous experience,” Saltsman explained. “Already feeling the pinch from the continuing economic downturn, the only way businesses will hire new employees is if they are skilled enough for the new, higher wage. Say goodbye to entry level jobs and hello to permanent double digit unemployment.”
Over the next thirteen years, a long list of cities and states enacted minimum wage increases of unprecedented size. Between 2014 and 2022, California increased its minimum wage by 56 percent in inflation-adjusted terms. Over a similar time period, New York raised its wage floor by 72 percent.
Permanent double digit unemployment did not ensue.
== Crystal structures that have nothing to do with the entry ==
- - -
A relaxed structure of YMgTc2Te, computed with GGA-PBEsol.

Cell and atoms, written as CIF:
```
data_YMgTc2Te
_cell_length_a 4.6224
_cell_length_b 4.6224
_cell_length_c 5.1951
_cell_angle_alpha 90.00
_cell_angle_beta 90.00
_cell_angle_gamma 90.00
_space_group_name_H-M_alt 'P 1'
_space_group_IT_number 1
loop_
_space_group_symop_operation_xyz
'x,y,z'
loop_
_atom_site_label
_atom_site_type_symbol
_atom_site_fract_x
_atom_site_fract_y
_atom_site_fract_z
Y1 Y 0.0000 0.0000 0.0000
Mg1 Mg 0.0000 0.0000 0.5000
Tc1 Tc 0.0000 0.5000 0.5000
Tc2 Tc 0.5000 0.0000 0.5000
Te1 Te 0.5000 0.5000 0.0000
```

Output
Energy relative to the elements, uncorrected (eV per atom): 1.336



A relaxed structure of Mg3TiTc, computed with GGA-PBEsol.

Cell and atoms, written as CIF:
```
data_Mg3TiTc
_cell_length_a 4.9310
_cell_length_b 4.9310
_cell_length_c 4.9310
_cell_angle_alpha 90.00
_cell_angle_beta 90.00
_cell_angle_gamma 90.00
_space_group_name_H-M_alt 'P 1'
_space_group_IT_number 1
loop_
_space_group_symop_operation_xyz
'x,y,z'
loop_
_atom_site_label
_atom_site_type_symbol
_atom_site_fract_x
_atom_site_fract_y
_atom_site_fract_z
Mg1 Mg 0.0000 0.0000 0.5000
Mg2 Mg 0.0000 0.5000 0.0000
Mg3 Mg 0.5000 0.0000 0.0000
Ti1 Ti 0.0000 0.0000 0.0000
Tc1 Tc 0.5000 0.5000 0.5000
```

Output
ΔE_f (eV/f.u.): 9.10



A relaxed structure of Mg2TlTc, computed with GGA-PBEsol.

Cell and atoms, written as CIF:
```
data_Mg2TlTc
_cell_length_a 4.6553
_cell_length_b 4.6553
_cell_length_c 4.6553
_cell_angle_alpha 60.00
_cell_angle_beta 60.00
_cell_angle_gamma 60.00
_space_group_name_H-M_alt 'P 1'
_space_group_IT_number 1
loop_
_space_group_symop_operation_xyz
'x,y,z'
loop_
_atom_site_label
_atom_site_type_symbol
_atom_site_fract_x
_atom_site_fract_y
_atom_site_fract_z
Mg1 Mg 0.2500 0.2500 0.2500
Mg2 Mg 0.7500 0.7500 0.7500
Tl1 Tl 0.0000 0.0000 0.0000
Tc1 Tc 0.5000 0.5000 0.5000
```

Output
Polymorph energy (0 for the lowest one) (meV per atom): 130.8
ΔE_f (eV/f.u.): 1.67



A relaxed structure of Mg2TlTc, computed with GGA-PBEsol.

Cell and atoms, written as CIF:
```
data_Mg2TlTc
_cell_length_a 2.8682
_cell_length_b 4.8447
_cell_length_c 5.2931
_cell_angle_alpha 90.00
_cell_angle_beta 90.00
_cell_angle_gamma 90.00
_space_group_name_H-M_alt 'P 1'
_space_group_IT_number 1
loop_
_space_group_symop_operation_xyz
'x,y,z'
loop_
_atom_site_label
_atom_site_type_symbol
_atom_site_fract_x
_atom_site_fract_y
_atom_site_fract_z
Mg1 Mg 0.0000 0.0000 0.0000
Mg2 Mg 0.0000 0.5000 0.3216
Tl1 Tl 0.5000 0.0000 0.5247
Tc1 Tc 0.5000 0.5000 0.8346
```

Output
Polymorph energy (0 for the lowest one) (meV per atom): 0.0
ΔE_f (eV/f.u.): 1.15



A relaxed structure of Mg2TlTc, computed with GGA-PBEsol.

Cell and atoms, written as CIF:
```
data_Mg2TlTc
_cell_length_a 5.2148
_cell_length_b 5.2148
_cell_length_c 2.9222
_cell_angle_alpha 90.15
_cell_angle_beta 90.15
_cell_angle_gamma 112.84
_space_group_name_H-M_alt 'P 1'
_space_group_IT_number 1
loop_
_space_group_symop_operation_xyz
'x,y,z'
loop_
_atom_site_label
- - -
In fact, not only did these historically large minimum wage hikes fail to put all fast food workers out of job, but a new study indicates that they actually induced job growth.
In “High Minimum Wages and the Monopsony Puzzle,” a team of economists at the University of California, Berkeley examined 47 large U.S. counties where the minimum wage had reached $15 an hour by the first quarter of 2021, and compared their wage levels and employment figures to those of similar counties that hadn’t raised the minimum wage since 2009. They focused specifically on fast-food workers, so as to avoid the complexities introduced by the tipped-wages common among servers at more upscale restaurants.
Their results will shock Saltsman and his ideological sympathizers. First, raising the minimum wage successfully increased hourly pay for workers in the bottom 10 percent of the income distribution without reducing wages for those in the middle. Had New York and California failed to pass minimum wage increases, this narrowing of the gap between the bottom and middle rungs of the income ladder would not have occurred. Second, the implications for employment were very slightly positive: Counties that enacted minimum wages saw more job growth, not less.
Now, a conservative economist might counter that one reason why these minimum wage hikes didn’t increase unemployment is that New York City, San Francisco, and Los Angeles already had fairly high market wages, and saw considerable “natural” wage growth over this period. If researchers had focused narrowly on the impact of state-level minimum-wage hikes on relatively low-wage counties in upstate New York or inland California, they probably would have discovered substantial employment effects.
Happily, the Berkeley economists thought of this. To correct for the possibilities 1) that high-wage cities are disproportionately likely to enact large minimum wage increases and 2) that high market wages attenuate the employment implications of high minimum wages, they isolated the impact of state-level minimum wages on counties that had neither enacted local minimum wage increases nor enjoyed above-average market wages.
When they narrowed their lens, the researchers did in fact find that the employment impacts of minimum wage hikes became more profound: Rather than producing a slight increase in job growth, high minimum wages were associated with substantial increases in employment.
In truth, this finding is not all that surprising. Economists have long recognized that, under conditions of “monopsony” — which is to say, when there are just a small number of employers in a given labor market — modest increases in the minimum wage will not kill jobs and might even create them. And liberal analysts had been arguing for decades that monopsony was far more common than generally appreciated.
Under conditions of monopsony, businesses do not need to offer competitive wages, since workers have few other employers they can turn to. Therefore, the market wage may substantially underprice the value that a given hour of labor actually provides to a firm. When the government steps in and forces wage rates up, businesses can afford to weather the increase in labor costs without slowing hiring, automating roles, or raising prices. Rather, they’re simply forced to divert a bit of their earnings away from ownership and towards staff.
(Calculated crystals, kept here for reference)
........
Record 1
A relaxed LaDyCl2 crystal. Source: Alexandria via LeMat-Bulk, functional PBE.

Its uncorrected formation energy is -1072 meV/atom.

The structure belongs to space group R-3m (No. 166, hexagonal axes); the cell edges are 4.7709, 4.7709 and 20.9946 Å and the angles 90.00°, 90.00° and 120.00°. The inequivalent atoms are La at (0.0000, 0.0000, 0.0000), Dy at (0.0000, 0.0000, 0.5000) and Cl at (0.0000, 0.0000, 0.3741).

***

Record 2
A relaxed AsPt2Au crystal. Source: Alexandria via LeMat-Bulk, functional PBE.

As for the formation energy: -0.03 eV per atom.

The structure belongs to space group P4/mmm (No. 123); the cell edges are 3.0831, 3.0831 and 7.0257 Å and the angles 90.00°, 90.00° and 90.00°. The inequivalent atoms are As at (0.0000, 0.0000, 0.0000), Pt at (0.5000, 0.5000, 0.2290) and Au at (0.0000, 0.0000, 0.5000).

***

Record 3
A relaxed LiZn6Ag6 crystal. Source: Alexandria via LeMat-Bulk, functional PBE.

As for the formation energy: -0.07 eV per atom.

The structure belongs to space group Immm (No. 71); the cell edges are 5.1913, 8.9972 and 9.3396 Å and the angles 90.00°, 90.00° and 90.00°. The inequivalent atoms are Li at (0.0000, 0.0000, 0.0000), Zn at (0.0000, 0.5000, 0.2659), Zn at (0.2500, 0.2500, 0.2500), Ag at (0.0000, 0.0000, 0.3488), Ag at (0.0000, 0.3218, 0.5000) and Ag at (0.0000, 0.3407, 0.0000).

***

Record 4
A relaxed Cu2Ge2W crystal. Source: Alexandria via LeMat-Bulk, functional PBE.

As for the formation energy: 0.30 eV per atom.

The structure belongs to space group P4/mbm (No. 127); the cell edges are 7.0587, 7.0587 and 2.9346 Å and the angles 90.00°, 90.00° and 90.00°. The inequivalent atoms are Cu at (0.1349, 0.3651, 0.0000), Ge at (0.1614, 0.6614, 0.5000) and W at (0.0000, 0.0000, 0.5000).

***

| no. | D(E_F) (states/eV per atom) | total moment (μB per formula unit) |
| --- | --- | --- |
| 1 | 1.6368 | 0.008 |
| 2 | 0.5356 | 0.000 |
| 3 | 0.3199 | 0.000 |
| 4 | 0.3546 | 0.000 |

----------

1.
Sc5TlHg6 | PBE | relaxed

Its formation energy is -4.03 eV per formula unit. Its calculated volume is 22.36 Å³/atom. The magnetization is 0.000 μB per cell.

The space group is Immm (No. 71) and the conventional cell measures 4.929, 7.309 and 14.899 Å, with angles of 90.00, 90.00 and 90.00 degrees. Symmetry generates all atoms from Sc at (0.000, 0.000, 0.000), Sc at (0.000, 0.000, 0.348), Sc at (0.000, 0.500, 0.327), Tl at (0.000, 0.500, 0.000), Hg at (0.000, 0.235, 0.176) and Hg at (0.000, 0.275, 0.500).

=====

2.
ScTlHg | PBE | relaxed

Its formation energy is -0.62 eV per formula unit. Its calculated volume is 23.47 Å³/atom. The magnetization is 0.000 μB per cell.

The space group is Amm2 (No. 38) and the conventional cell measures 4.334, 4.606 and 14.105 Å, with angles of 90.00, 90.00 and 90.00 degrees. Symmetry generates all atoms from Sc at (0.000, 0.000, 0.000), Sc at (0.000, 0.000, 0.317), Tl at (0.000, 0.000, 0.653), Tl at (0.500, 0.000, 0.835), Hg at (0.500, 0.000, 0.156) and Hg at (0.500, 0.000, 0.480).
........
(Back to the entry)
That redistribution of income away from business owners to workers can, in turn, have a stimulative effect. Low-wage workers often live paycheck to paycheck and spend a high percentage of their earnings. Affluent business owners, by contrast, can often afford to stow away excess earnings. Thus, when you move dollars from the latter to the former, that money becomes more likely to circulate in the local economy. Which translates to higher demand for goods and services, such as fast food, which gives fast food restaurants an incentive to add more staff. This dynamic would of course break down if you raised the minimum wage to $1,000 or what have you. But the past decade of economic history indicates that there is far more scope to increase wages by government statute than previously thought.
Economic life is full of genuine tradeoffs. And there are times when progressives refuse to prioritize between competing goods in a counterproductive manner. But there are also many instances in which the only real tradeoff is between maximizing profits for owners and improving conditions for workers. In those cases, owners have an incentive to promote theories that posit a different, specious tradeoff — one that hurts a more sympathetic constituency. It is now apparent that the debate over a $15 minimum wage was one such case.